Life's Not a Movie

These data records were left in the page by mistake =
# 1
DFT (PBE) results for an optimized crystal structure of YB4W3.

```
YB4W3
1.0
3.1286 0.0000 0.0000
0.0000 3.2302 0.0000
0.0000 0.0000 9.4517
Y B W
1 4 3
Direct
0.0000 0.0000 0.0000
0.0000 0.0000 0.3118
0.0000 0.5000 0.7685
0.5000 0.0000 0.4236
0.5000 0.5000 0.8546
0.0000 0.5000 0.5024
0.5000 0.0000 0.6890
0.5000 0.5000 0.2481
```

Summary:
Its formation energy is -0.369 eV per atom. The space group is Pmm2.

# 2
DFT (PBE) results for an optimized crystal structure of Y2Ge6Pt.

```
Y2Ge6Pt
1.0
4.1259 0.0000 0.0000
0.0000 2.0577 10.9503
0.0000 -2.0577 10.9503
Y Ge Pt
2 6 1
Direct
0.0000 0.0000 0.0000
0.0000 0.3369 0.3369
0.0000 0.6008 0.6008
0.0000 0.7148 0.7148
0.5000 0.1001 0.1001
0.5000 0.2144 0.2144
0.5000 0.4603 0.4603
0.5000 0.8908 0.8908
0.5000 0.7801 0.7801
```

Summary:
Its formation energy is -0.539 eV per atom. The space group is Amm2.

# 3
DFT (PBE) results for an optimized crystal structure of CoAsRh.

```
CoAsRh
1.0
5.9599 0.0000 0.0000
0.0000 3.7996 0.0000
0.0000 0.0000 7.0210
Co As Rh
4 4 4
Direct
0.1430 0.2500 0.0624
0.3570 0.7500 0.5624
0.6430 0.2500 0.4376
0.8570 0.7500 0.9376
0.2375 0.7500 0.8753
0.2625 0.2500 0.3753
0.7375 0.7500 0.6247
0.7625 0.2500 0.1247
0.0345 0.2500 0.6705
0.4655 0.7500 0.1705
0.5345 0.2500 0.8295
0.9655 0.7500 0.3295
```

Summary:
Its formation energy is -0.309 eV per atom. The space group is Pnma.

=====

Density functional theory data (PBE) for an optimized crystal structure of RbDyO2.

Output
Total energy   -26.28 eV for the cell shown

Structure (CIF):
```
data_RbDyO2
_symmetry_space_group_name_H-M 'P 1'
_symmetry_Int_Tables_number 1
_cell_length_a 3.513
_cell_length_b 3.513
_cell_length_c 6.870
_cell_angle_alpha 75.19
_cell_angle_beta 75.19
_cell_angle_gamma 60.00
loop_
_symmetry_equiv_pos_as_xyz
'x,y,z'
loop_
_atom_site_label
_atom_site_fract_x
_atom_site_fract_y
_atom_site_fract_z
Rb1 0.000 0.000 0.000
Dy1 0.500 0.500 0.500
O1 0.775 0.775 0.675
O2 0.225 0.225 0.325
```


Hannah's POV:

"Cameron, what do you want to talk about?" Sam gets up and leaves.

"I'm glad you're making friends, but I was carrying up your boxes for 2 hours."

"I'm sorry, Cam. We were planning her date with Zach. You can take a break and I'll unpack some."

"That's not the point. We were going to do this together." He's sounding like a little girl.

"I'm sorry, Cam. If you had told me, I would have sent her home hours ago."

"I know, Han. It's just, we're finally us again. I don't wanna let you out of my sight."

"You have to give me some space."

"I'll try." I look at the clock and see it's almost 2.

"Cam! You have rehersal in an hour." He fakes a cough.

"I don't think I can go. I don't feel so well." I can't help but laugh at him.

"Oh you poor thing. I'll call Zach."

"I'll go wait in your room. All boxes are up there waiting to be unpacked." I love this guy.

"I'll be right up."

"I'm timing you." I have 5 minutes to call Zach or Cameron will "attack" me.

"Hey, Zach, it's Hannah. Cam can't make it to rehersal tonight."

"Why not? Is he okay? I just saw him."

"Yeah, I think his allergies are just messing up or something. We saw a few cats earlier on our run."

"You be sure to take good care of him." I recognize the tone and decide to play along.

"Oh I'll be an excellent doctor to him. Don't worry."

"Gross Hannah!"

"What? I said I'ld take care of him."

"You know the tone you used."

"I know the tone you started." We laugh and I run down the hall to Cameron.


"He didn't buy it, but he's letting you out of it."

"You are the best girlfriend in the world." Like I didn't already know that.

"You're the best boyfriend on the street. I'm kidding, you're the best in the world."

"Hannah Lowe, you are evil. Did you know that?"

"It's been a rumor for a while. Now, let's get me officially moved in here."

"Whatever gets me dinner."

"And what exactly are your plans for dinner?"

"You'll see."

"Oh, is it expensive?"


"Is it here?"


"Should I dress up?"

"You can." He isn't being specific at all.

"How fancy?"

"Not too. Whatever you wear is fine."

"Do I get to know any more information?"

"When we get there."

"And what time is that?"

"Around 6." We have 3 hours to unpack. I need one hour to get ready for where ever he was taking me.

"How long have you had this planned out?"

"Since this morning."

"I didn't hear you make any calls?"

"Who said I needed to call?"

"Can't I have a hint? Please." I bat my eyes at him.

"You'll like it." This boy is crazy. We finish with 10 minutes left in our goal.

"Okay, now out. I need to get ready for this special place."

"I will see you in an hour then, my love."
